• As part of the relaunch of Skullheart, ALL previous threads have been archived. You can find them at the bottom of the forum in the Archives (2021) section. The archives are locked, so please use the new forum sections to create new discussion threads.

Recent content by FuLLBLeeD

  1. FuLLBLeeD

    Tips for good framerates on Linux/Steam?

    @exspira what distro are you using, out of curiosity?
  2. FuLLBLeeD

    Feature Suggestion's

    They already can, P2 just has to actually select the voice pack
  3. FuLLBLeeD

    The Unofficial Official Beta Discussion Thread

    I understand that the game is not being actively developed now besides QoL and bug fixes, but I thought I would throw out a few features that I think could be realistically added to the game that would greatly enhance the player experience. 1) Allow mapping of RIGHT STICK UP and RIGHT STICK...
  4. FuLLBLeeD

    MAXOUT - Kansas City Regional Featuring Skullgirls

    https://www.start.gg/tournament/maxout-8-31-24-kansas-city-regionals/details Skullgirls has a 250 dollar pot bonus! If we get 15 pre-reg, ill put in another 50. 25 pre reg means ill put in another hundred :)
  5. FuLLBLeeD

    The Unofficial Official Beta Discussion Thread

    You've been told no twice now; probably best to let it go for the time being. It isn't as trivial as modifying a single sprite in mspaint.
  6. FuLLBLeeD

    The Unofficial Official Beta Discussion Thread

    I understand that balance changes for other characters are more or less finalized, but the Dahlia teleport nerf to make sure run away/zoning playstyles are not too good makes me think there needs to be one final change to Robo. I really feel she got off easy compared to the other characters on...
  7. FuLLBLeeD

    The Unofficial Official Beta Discussion Thread

    Any chance we could have jitter display next to the ping number when "-showping" is enabled?
  8. FuLLBLeeD

    The Unofficial Official Beta Discussion Thread

    As a friendly reminder, please don't shitpost in the beta thread.
  9. FuLLBLeeD

    The Unofficial Official Beta Discussion Thread

    My understanding is that this is the the last balance patch for the foreseeable future. Please keep that in mind when posting. Also we're locked into retail for combo breaker, so asking to not play that version isn't gonna do anyone any good. I think it's fine to speculate about the future of...
  10. FuLLBLeeD

    The Unofficial Official Beta Discussion Thread

    For the record I agree with you; I just think Robo should lose hers, and if Fiber + assist has to be a casualty of that than it's kind of whatever. Robo j.hk + assist exists in the same grey area where you call the assist while grounded or in jump frames, and then instantly launch yourself into...
  11. FuLLBLeeD

    The Unofficial Official Beta Discussion Thread

    This is a really good point; Robo Fortune should probably not have this if Marie lost it, it basically enables assist calls at heights they probably shouldn't be allowed. And if you want to look at that and go "but Fortune Fiber + assist!!!!" then sure, that can probably go too. Calling assists...
  12. FuLLBLeeD

    The Unofficial Official Beta Discussion Thread

    To be fair, a frame trap off a negative on block move into an invincible super is something other characters can do, and is just kind of a thing in fighting games in general. I don't think it's particularly egregious with sehkmet. If you block axe, you can continue blocking. If they do Axe again...
  13. FuLLBLeeD

== Next to the text, the page also holds calculated crystals ==
........
Entry 1:
Compound: KBaN
Source: Materials Project
Functional: GGA-PBE
Structure: relaxed

Results
Final energy in eV per atom: -3.77
Space group: R3m (160)
Total magnetization in μB per formula unit: 0.06
Theoretical density in Mg/m³: 2.99

Cell: 4.1434 4.1434 21.3438 Å, 90.00 90.00 120.00°
With the nearest neighbours (Å) after each atom.
Atoms (fractional coordinates):
K  0.0000  0.0000  0.0000  3 N 2.91
K  0.3333  0.6667  0.6667  3 N 2.91
K  0.6667  0.3333  0.3333  3 N 2.91
Ba  0.0000  0.0000  0.5363  3 N 2.65
Ba  0.3333  0.6667  0.2030  3 N 2.65
Ba  0.6667  0.3333  0.8697  3 N 2.65
N  0.0000  0.0000  0.2559  3 Ba 2.65, 3 K 2.91
N  0.3333  0.6667  0.9225  3 Ba 2.65, 3 K 2.91
N  0.6667  0.3333  0.5892  3 Ba 2.65, 3 K 2.91

***

Entry 2:
Compound: ZrH12N5F4
Source: Materials Project
Functional: GGA-PBE
Structure: relaxed

Results
Final energy in eV per atom: -5.36
Space group: P4/ncc (130)
Total magnetization in μB per formula unit: 2.99
Theoretical density in Mg/m³: 1.82

Cell: 9.1628 9.1628 10.8500 Å, 90.00 90.00 90.00°
With the nearest neighbours (Å) after each atom.
Atoms (fractional coordinates):
Zr  0.2500  0.7500  0.2500  4 F 2.08
Zr  0.2500  0.7500  0.7500  4 F 2.08
Zr  0.7500  0.2500  0.2500  4 F 2.08
Zr  0.7500  0.2500  0.7500  4 F 2.08
H  0.0179  0.5491  0.1471  1 N 1.02
H  0.0179  0.9509  0.6471  1 N 1.02
H  0.0491  0.5179  0.3529  1 N 1.02
H  0.0485  0.6847  0.0496  1 N 1.03
H  0.0485  0.8153  0.5496  1 N 1.03
H  0.0491  0.9821  0.8529  1 N 1.02
H  0.0519  0.2125  0.3240  1 N 1.02
H  0.0519  0.2875  0.8240  1 N 1.02
H  0.1847  0.5485  0.4504  1 N 1.03
H  0.1847  0.9515  0.9504  1 N 1.03
H  0.2125  0.0519  0.8240  1 N 1.02
H  0.2125  0.4481  0.3240  1 N 1.02
H  0.2875  0.0519  0.3240  1 N 1.02
H  0.2875  0.4481  0.8240  1 N 1.02
H  0.3153  0.5485  0.9504  1 N 1.03
H  0.3153  0.9515  0.4504  1 N 1.03
H  0.4481  0.2125  0.8240  1 N 1.02
H  0.4481  0.2875  0.3240  1 N 1.02
H  0.4509  0.5179  0.8529  1 N 1.02
H  0.4515  0.6847  0.5496  1 N 1.03
H  0.4515  0.8153  0.0496  1 N 1.03
H  0.4509  0.9821  0.3529  1 N 1.02
H  0.4821  0.5491  0.6471  1 N 1.02
H  0.4821  0.9509  0.1471  1 N 1.02
H  0.5179  0.0491  0.8529  1 N 1.02
H  0.5179  0.4509  0.3529  1 N 1.02
H  0.5491  0.0179  0.6471  1 N 1.02
H  0.5485  0.1847  0.9504  1 N 1.03
H  0.5485  0.3153  0.4504  1 N 1.03
H  0.5491  0.4821  0.1471  1 N 1.02
H  0.5519  0.7125  0.6760  1 N 1.02
H  0.5519  0.7875  0.1760  1 N 1.02
H  0.6847  0.0485  0.5496  1 N 1.03
H  0.6847  0.4515  0.0496  1 N 1.03
H  0.7125  0.5519  0.1760  1 N 1.02
H  0.7125  0.9481  0.6760  1 N 1.02
H  0.7875  0.5519  0.6760  1 N 1.02
H  0.7875  0.9481  0.1760  1 N 1.02
H  0.8153  0.0485  0.0496  1 N 1.03
H  0.8153  0.4515  0.5496  1 N 1.03
H  0.9481  0.7125  0.1760  1 N 1.02
H  0.9481  0.7875  0.6760  1 N 1.02
H  0.9509  0.0179  0.1471  1 N 1.02
H  0.9515  0.1847  0.4504  1 N 1.03
H  0.9515  0.3153  0.9504  1 N 1.03
H  0.9509  0.4821  0.6471  1 N 1.02
H  0.9821  0.0491  0.3529  1 N 1.02
H  0.9821  0.4509  0.8529  1 N 1.02
........

    The Unofficial Official Beta Discussion Thread

    SF6 balance patch is dropping a mere 2 days before Combobreaker. More reason to just release the SG balance patch, in my opinion.
  14. FuLLBLeeD

    The Unofficial Official Beta Discussion Thread

    If you are hearing him, he is saying that the core design functionality is not going to change; that means it is not going to change to what specifically you want. The answer isn't going to change, so continuing to ask for reworks is fruitless. Going forward, I would ask posters to keep their...
  15. FuLLBLeeD

    The Unofficial Official Beta Discussion Thread

    Posting here because it's relevant, as this is probably the most active thread on the entire site. A recent site upgrade caused some moderator statuses (like mine) to no longer work and therefore not give mod privileges. This has since been corrected. Unfortunately, during this time, the...